The Patriots Got Absolutely Destroyed in the NFLPA's Annual Report Card

• Attached: calculated crystals:
/*
[1]
Density functional theory data (r²SCAN) for a relaxed PaN crystal.

Cell lengths 3.497, 3.497, 3.497 Å; angles 60.00, 60.00, 60.00 degrees
Positions (direct):
N  0.500  0.500  0.500
Pa  0.000  0.000  0.000

symmetry	No. 225
E_form	-1.83	eV per atom

---

[2]
Density functional theory data (r²SCAN) for a relaxed TePtPb crystal.

Cell lengths 6.672, 6.672, 6.672 Å; angles 90.00, 90.00, 90.00 degrees
Positions (direct):
Pt  0.508  0.008  0.492
Pt  0.492  0.508  0.008
Pt  0.992  0.992  0.992
Pt  0.008  0.492  0.508
Pb  0.632  0.632  0.632
Pb  0.368  0.132  0.868
Pb  0.132  0.868  0.368
Pb  0.868  0.368  0.132
Te  0.629  0.871  0.129
Te  0.371  0.371  0.371
Te  0.871  0.129  0.629
Te  0.129  0.629  0.871

symmetry	No. 198
E_form	-0.43	eV per atom

---

[3]
Density functional theory data (r²SCAN) for a relaxed PbSO4 crystal.

Cell lengths 5.406, 6.961, 8.438 Å; angles 90.00, 90.00, 90.00 degrees
Positions (direct):
O  0.473  0.694  0.581
O  0.973  0.306  0.419
O  0.250  0.540  0.194
O  0.750  0.407  0.092
O  0.473  0.806  0.081
O  0.750  0.040  0.306
O  0.027  0.806  0.081
O  0.527  0.306  0.419
O  0.750  0.460  0.806
O  0.250  0.907  0.408
O  0.973  0.194  0.919
O  0.250  0.593  0.908
O  0.250  0.960  0.694
O  0.750  0.093  0.592
O  0.527  0.194  0.919
O  0.027  0.694  0.581
Pb  0.250  0.168  0.191
Pb  0.750  0.668  0.309
Pb  0.750  0.832  0.809
Pb  0.250  0.332  0.691
S  0.250  0.683  0.064
S  0.750  0.183  0.436
S  0.250  0.817  0.564
S  0.750  0.317  0.936

symmetry	No. 62
E_form	-1.61	eV per atom

---

> Which of these has the lowest E_form?

PaN

----------

Record 1
An optimized crystal structure of MnFeBO4, computed with GGA+U.

```
data_MnFeBO4
_space_group_name_H-M_alt 'P 1 m 1'
_space_group_IT_number 6
_cell_length_a 9.5083
_cell_length_b 3.2248
_cell_length_c 9.5367
_cell_angle_alpha 90.00
_cell_angle_beta 90.58
_cell_angle_gamma 90.00
loop_
_space_group_symop_operation_xyz
'x,y,z'
'x,-y,z'
loop_
_atom_site_label
_atom_site_type_symbol
_atom_site_fract_x
_atom_site_fract_y
_atom_site_fract_z
_atom_site_occupancy
Mn1 Mn 0.0000 0.0000 0.0000 1
Mn2 Mn 0.2001 0.5000 0.6150 1
Mn3 Mn 0.5003 0.0000 0.1230 1
Mn4 Mn 0.7077 0.5000 0.4968 1
Fe1 Fe 0.2152 0.5000 0.2451 1
Fe2 Fe 0.4847 0.0000 0.7411 1
Fe3 Fe 0.7188 0.5000 0.8791 1
Fe4 Fe 0.9808 0.0000 0.3731 1
B1 B 0.2663 0.5000 0.9366 1
B2 B 0.4349 0.0000 0.4349 1
B3 B 0.7734 0.5000 0.1838 1
B4 B 0.9365 0.0000 0.6854 1
O1 O 0.0792 0.0000 0.6843 1
O2 O 0.0971 0.0000 0.1875 1
O3 O 0.1130 0.5000 0.4209 1
O4 O 0.1236 0.5000 0.9351 1
O5 O 0.3402 0.5000 0.0630 1
O6 O 0.3408 0.5000 0.8076 1
O7 O 0.3572 0.0000 0.3086 1
O8 O 0.3625 0.0000 0.5634 1
O9 O 0.5770 0.0000 0.4339 1
O10 O 0.5976 0.0000 0.9207 1
O11 O 0.6072 0.5000 0.6960 1
O12 O 0.6317 0.5000 0.1734 1
O13 O 0.8433 0.5000 0.3118 1
O14 O 0.8497 0.5000 0.0567 1
O15 O 0.8581 0.0000 0.5622 1
O16 O 0.8667 0.0000 0.8173 1
```

Computed properties:
Total magnetization = 9.75 μB/f.u.
Calculated formation energy = -2.186 eV/atom
Volume = 10.443 Å³/atom
*/

There's a legend in the Thornton family that we often tell at family gatherings. And it's one that I have referred to a time or two while raising my kids. The story goes that my brother Jim was in elementary school and got a lousy grade for Conduct on his report card. To which John "Bud" Thornton said to him, in his booming, Greatest Generation Navy veteran voice, "Even a moron can sit there with his hands folded, and his mouth shut, and get an 'A' in Conduct!!!

Not to disagree with the man who singled-handedly won the war in the Atlantic, but would that it were that easy. Some of his sons lacked his discipline. And were drawn to the siren song of making our idiot friends laugh with our juvenile, Lowest Common Denominator nonsense. One of us even made a career out of it. Because no matter the principal's threats about Permanent Records following you the rest of your life, there were no consequences to aggravating your 5th grade teacher with your tomfoolery. And making the cool kids laugh spared this fat kid with bitch tits and glasses a whole childhood of swirlies. 

But some report cards do count. Some are important. Even vital. And flunking out can cost you dearly. One would be the NFLPA's annual survey of its rank and file members about their working conditions:

Source -  1,706 of our players provided information to share with one another about their current club, to not only help them make important career decisions, but also help raise standards across the league.

Our goals were to highlight positive clubs, identify areas that could use improvement, and highlight best practices and standards.

And if you're invested in the Patriots attracting free agents to New England, the news is not much better for you than it was for Bud Thornton's sons:


The New England Patriots finish the year ranked 29th in the team surveys. The results point to club management that has not been keeping up with changing times; as in most categories, the player responses highlight outdated facilities and stale services.

The number one issue for the players is the weight room. It ranks last both in quality of equipment as well as size. The Patriots are the only team in the NFL with a majority of players feeling that their team’s facility is worse than places they could train offsite. In the training room, respondents feel the treatment options are not cutting edge and they lack both equipment and staffing that are offered elsewhere as standard.

The players feel the facility has needed significant renovations for a while now, which explains the low grade for club owner Robert Kraft on the question about players having confidence he will invest in their facilities.

These ones especially hurt:

Treatment of Families     F-    30th

  • They are one of 12 teams that do not provide a family room during games 
  • They are one of seven teams that do not provide daycare support for players’ children on gameday 
  • They are one of only four teams that do not offer either a family room or daycare 

Weight Room    F   32nd

  • The players feel the quality of their weight room equipment is below average (32nd overall) 
  • The players feel like they do not have enough space in the weight room (32nd overall) 
  • The Patriots are the only team in the NFL with a majority of players feeling that their team’s facility is worse than places they could train offsite 

Ownership    D+    27th

  • Club owner Robert Kraft receives a rating of 6.9/10 from Patriot players when considering his willingness to invest in the facilities (27th overall)

Now, a lot of these bad grades have already been addressed. Bill Belichick, with his 6th-lowest overall grade and next-to-lowest ranking when it came to being "efficient with players time" and "listening to the locker room" has been replaced by Jerod Mayo. The 31st-ranked strength coach has been replaced by Brian McDonough and is joined, non uncoincidentally, by Deron Mayo.  So problems solved, hopefully. 

But "Treatment of Families"? "Weight Room?" And by extension, "Ownership"? These feel like big deals. This is getting to the heart of players' experience walking into the facility every day, and especially on game day. I mean, we all agree Jerry Jones is a lizard person. But when you're a free agent with a family and trying to decide which teams to visit and you hear Dallas has a safe place for your wife to bring the kids to while you're on the field, and that facility gets an A-, that's going to go a long way toward making the decision for you. Happy wife, happy highly coveted free agent entering his prime, and all that. 

And the weight room? That's pretty much essential, is it not? Being worst in the league in this requirement of the job is like being a Silicon Valley tech company and putting Power Mac G4 Cubes at every workstation. To hear the players describe it, it sounds like they'd be better off paying 10 bucks a month for Planet Fitness. Which at least provides the added benefit of a Lunk Alarm [tm]. 

Which brings us to ownership. You can count me among those who regard the Krafts as among the best owners the game has ever known. I'm speaking as a fan who can't ever forget how awful the old stadium was and how the Sullivans were always drowning in debt. And they not only saved the team from moving, they build a stadium with their own money and put a Dynasty in it. But my opinion doesn't count because they're not trying to sign me to come to Gillette and catch touchdowns. Perception, no matter how unfair, becomes reality. In a league where a substantial portion of owners are Lucky Spermers and the lesser sons of greater sires who inherited all they've ever owned, it's a tough look to think there are only five owners considered worse by the players. 

Now granted, all this could be the result of the previous coach not being interested in addressing it. Because he wanted players whose focus is on chasing rings, not rugrats. But that ship has sailed. Besides, players have options now, and you've got to keep up with the competition. If Elon Musk wants to hand out pink slips at X because he's got a bunch of people on staff more interested in the Meditation Room, the wine dispenser and sunset games of Cornhole on the roof, than helping him turn a profit, that's his perogative. But Mayo needs better athletes if we're going to compete.

What's really terrible about it is what an easy fix this is. Knock down a few walls, buy some toys, paint some cartoon characters, rainbows and unicorns on the walls, and hire some charming, highly responsible women interested in watching kids for a few hours on Sunday. Knock down a few others walls and put in some weight benches and ellipticals. And boom! You've gotten yourself to B+ faster than a kid drawing a "-" across his D+.  All for the price of probably four square feet of the new scoreboard. 

I just hope it's not too late to turn this perception around. If it is, then they'll be forced to pay a premium for talent that's going to cost a lot more than a day care center and a bigger gym.